32 C.F.R. § 86.3

Current through November 30, 2024
Section 86.3 - Definitions

Unless otherwise noted, these terms and their definitions are for the purposes of this part.

Adjudication. The evaluation of pertinent data in a background investigation, as well as any other available information that is relevant and reliable, to determine whether an individual is suitable for work.

Adult. An individual 18 years of age or older regarded in the eyes of the law as being able to manage his or her own affairs.

Applicant. A person upon whom a criminal history background check is, will be, or has been conducted, including individuals who have been selected or are being considered for a position subject to a criminal history background check, and individuals undergoing a recurring criminal history background check. Includes current employees.

Child. A person under 18 years of age.

Care provider. Current or prospective individuals hired with appropriated funds (APF) and nonappropriated funds (NAFs) for education, treatment or healthcare, child care or youth activities; individuals employed under contract who work with children; and those who are certified for care. Individuals working within programs that include: Child Development Programs, DoD dependents schools, DoD-operated or -sponsored activities, foster care, private organizations on DoD installations, and youth programs.

Child care services. Care or services provided to children under the age of 18 in settings including child protective services (including the investigation of child abuse and neglect reports), social services, health and mental health care, child (day) care, education (whether or not directly involved in teaching), foster care, residential care, recreational or rehabilitative programs, and detention, correctional, or treatment services, as defined in 42 U.S.C. 13041 .

Class. With regard to the designation of positions, a categorical descriptor identifying employee, contractor, provider, or volunteer positions by group rather than by individual position or title (e.g., "doctors" or "individuals supervising children in a school").

Contractor. Any individual, firm, corporation, partnership, association, or other legal non-Federal entity that enters into a contract directly with DoD or a DoD Component to furnish supplies, services, or both including construction. Foreign governments or representatives of foreign governments that are engaged in selling to DoD or a DoD Component are defense contractors when acting in that context. A subcontractor is any supplier, distributor, vendor, or firm that furnishes supplies or services to or for a prime contractor or another subcontractor.

Covered position. Defined in volume 731 of DoD Instruction 1400.25, "DoD Civilian Personnel Management System" (available at http://www.dtic.mil/whs/directives/corres/pdf/140025v731.pdf).

Criminal history background checks. A review of records, investigative reports, and other investigative elements to generate criminal history background findings to be used to make fitness or suitability determinations.

Derogatory information. Information that may reasonably justify an unfavorable personnel suitability or fitness determination because of the nexus between the issue or conduct and the core duties of the position.

DoD affiliation. A prior or current association, relationship, or involvement with the DoD or any elements of DoD, including the Military Departments.

DoD-sanctioned programs. Any program, facility, or service funded, or operated by the DoD, a Military Department or Service, or any agency, unit, or subdivision thereof. Examples include, but are not limited to, chapel programs, child development centers, family child care (FCC) programs, medical treatment facilities, Department of Defense Education Activity (DoDEA) schools, recreation and youth programs. These do not include programs operated by other State or Federal government agencies or private organizations without the official sanction of a DoD entity.

Duties. Those activities performed as an employee, contractor, provider, or volunteer that involve interaction with children, including any work performed in a child development program or DoDEA school.

Employee. An individual, paid from funds appropriated by the Congress of the United States, or an individual employed by a NAF instrumentality in accordance with 5 U.S.C. 2105(c) . Includes foreign nationals in accordance with Volume 1231 of DoD Instruction 1400.25, "DoD Civilian Personnel Management System" (available at http://www.dtic.mil/whs/directives/corres/pdf/1400.25-V1231.pdf), Military Service members working during their off-duty hours, and non-status, non-continuing temporary positions with specified employment periods not to exceed 1 year such as summer hires, student interns, and seasonal hires.

FAP. Defined in DoD Directive 6400.1, "Family Advocacy Program (FAP)" (available at http://www.dtic.mil/whs/directives/corres/pdf/640001p.pdf).

FAP records check. A review of FAP records maintained on an individual, including records maintained by the installation office and records in the Service Child and Spouse Abuse Central Registry in accordance with DoD Directive 6400.1. If the individual is the spouse or dependent of a Service member, this may entail review of records maintained on the sponsoring Service member. Installation and Service Central Registry checks are limited to identifying pending and met criteria incidents of maltreatment and do not include information related to incidents that did not meet criteria or any information contained in the clinical case record that is protected by section 1320d-6 or 5 U.S.C. 552a .

Federal Bureau of Investigation (FBI) criminal history background check. An FBI identification record-often referred to as a criminal history record or a "rapsheet"-is a listing of certain information taken from fingerprint submissions retained by the FBI in connection with arrests and, in some instances, federal employment, naturalization, or military service. The process of responding to an identification record request is generally known as a criminal history background check.

FCC. Defined in DoD Instruction 6060.2, "Child Development Programs (CDPs)" (available at http://www.dtic.mil/whs/directives/corres/pdf/606002p.pdf).

FCC provider. Defined in DoD Instruction 6060.2.

_These materials data were left in the page by mistake_
<<<
1.
Diffraction record for Mg9Si5. The powder diffractogram is calculated, not measured: it uses a DFT-relaxed cell (PBE, the Materials Project) and Cu Ka.

Cell and atoms:
Unit cell a=7.1808 b=7.1808 c=36.8497 alpha=90.00 beta=90.00 gamma=120.00
Space group R32 (No. 155, hexagonal axes)
Unique sites:
1 Mg 0.0000 0.2520 0.0000 [9 per cell]
2 Mg 0.0000 0.7439 0.5000 [9 per cell]
3 Mg 0.0182 0.7474 0.3887 [18 per cell]
4 Mg 0.0208 0.4111 0.5539 [18 per cell]
5 Si 0.0000 0.0000 0.0578 [6 per cell]
6 Si 0.0000 0.0000 0.1694 [6 per cell]
7 Si 0.0000 0.0000 0.2644 [6 per cell]
8 Si 0.0000 0.0000 0.3323 [6 per cell]
9 Si 0.0000 0.0000 0.4442 [6 per cell]

Peak list (12 most intense, 10 to 90 degrees two-theta, by angle)
h k l, 2θ (°), d (Å), I_rel
1 1 0, 24.80, 3.590, 14
1 1 9, 33.19, 2.699, 100
2 0 8, 34.81, 2.577, 42
0 2 10, 37.86, 2.376, 45
2 1 1, 38.37, 2.346, 40
1 2 2, 38.60, 2.333, 16
1 2 8, 43.21, 2.094, 20
3 0 0, 43.67, 2.073, 52
0 0 18, 44.24, 2.047, 33
2 1 10, 45.79, 1.982, 24
3 0 18, 63.91, 1.457, 25
3 2 10, 70.82, 1.330, 14

---

2.
Diffraction record for CsNaMg6O7. The powder diffractogram is calculated, not measured: it uses a DFT-relaxed cell (PBE, the Materials Project) and Cu Ka.

Cell and atoms:
Unit cell a=4.2440 b=4.2440 c=11.9728 alpha=90.00 beta=90.00 gamma=90.00
Space group P4mm (No. 99)
Unique sites:
1 Cs 0.0000 0.0000 0.0000 [1 per cell]
2 Na 0.5000 0.5000 0.1174 [1 per cell]
3 Mg 0.0000 0.0000 0.5180 [1 per cell]
4 Mg 0.0000 0.5000 0.3125 [2 per cell]
5 Mg 0.0000 0.5000 0.7020 [2 per cell]
6 Mg 0.5000 0.5000 0.5343 [1 per cell]
7 O 0.0000 0.0000 0.3505 [1 per cell]
8 O 0.0000 0.0000 0.7110 [1 per cell]
9 O 0.0000 0.5000 0.1538 [2 per cell]
10 O 0.0000 0.5000 0.5266 [2 per cell]
11 O 0.5000 0.5000 0.7108 [1 per cell]

Peak list (12 most intense, 10 to 90 degrees two-theta, by angle)
h k l, 2θ (°), d (Å), I_rel
0 0 2, 14.80, 5.986, 47
1 0 0, 20.93, 4.244, 47
0 0 3, 22.24, 3.997, 79
1 0 2, 25.73, 3.462, 66
0 0 4, 29.82, 2.996, 28
1 0 3, 30.74, 2.909, 100
1 1 2, 33.40, 2.683, 80
1 0 4, 36.74, 2.446, 31
2 0 0, 42.62, 2.122, 100
1 1 5, 48.61, 1.873, 43
2 1 3, 53.46, 1.714, 23
2 2 0, 61.83, 1.500, 25

* * * * *

For Li4B4Sb2SO16, the GGA-PBE geometry in the Materials Project gives the calculated PXRD pattern in this record (Cu Kα (λ = 1.5418 Å)).
Peak positions follow from Bragg's law for the DFT cell and can differ from measured ones.

Most intense lines, 15° ≤ 2θ ≤ 90°, in order of rising 2θ:
20.9°, 4.255 Å, I 84
21.7°, 4.090 Å, I 69
22.1°, 4.030 Å, I 71
22.5°, 3.946 Å, I 100
24.9°, 3.572 Å, I 27
26.4°, 3.382 Å, I 28
26.9°, 3.314 Å, I 30
32.7°, 2.736 Å, I 29

Structural model:
```
Li4B4Sb2SO16
1.0
0.0000 6.7640 7.1445
6.6276 0.0000 7.1445
6.6276 6.7640 0.0000
Li B Sb S O
8 8 4 2 32
Cartesian
4.9707 1.0121 5.3584
8.9255 5.0730 5.3584
8.2845 4.3941 8.9306
12.2393 8.4549 8.9306
1.0159 5.0730 5.3584
4.9707 9.1338 5.3584
4.3296 8.4549 8.9306
8.2845 12.5158 8.9306
6.2397 3.8248 6.5670
6.2397 6.3211 4.1498
3.7016 3.8248 4.1498
>>>

FCC adult family members. Any adult, 18 years of age or older, who resides in the home of an FCC provider for 30 or more consecutive days.

Fitness. The reference to a person's level of character and conduct determined necessary for an individual to perform work for, or on behalf of, a Federal Agency as an employee in the excepted service (other than in a position subject to suitability) or as a contractor employee.

Fitness determination. A decision, based on review of criminal history background check findings, that an individual is fit to perform duties in a position subject to criminal history background check. Fitness determinations will be "favorable," meaning that the individual is fit to perform the duties, or "unfavorable," meaning that the individual is not.

Foreign nationals. Individuals who are not citizens of the United States.

Foster care providers. A voluntary or court-mandated program that provides 24-hour care and supportive services in a family home or group facility, within government-owned or -leased quarters, for children and youth who cannot be properly cared for by their own family.

Healthcare personnel. Military, civilian, or contract staff involved in the delivery of healthcare services.

Host-government check. A criminal history background check conducted on foreign nationals in accordance with U.S. and host country treaties or agreements.

Interim suitability or fitness determination. Part of the pre-screening process in the identification and resolution of suitability or fitness issues, which occurs prior to the initiation of the required investigation. It involves the review of applications and other employment related documents. A favorable interim suitability or fitness determination is a status granted on a temporary basis, which permits individuals to work under line-of-sight supervision (LOSS) after the return of the advance FBI fingerprint check, pending completion of full investigative requirements and a final suitability determination.

Investigative elements. The records, reports, or other individual elements that comprise the whole of information collected during a criminal history background check and used to make a fitness or suitability determination.

Installations records check (IRC). A query of records maintained on an individual by programs and entities at the military installation where the individual lives, is assigned, or works, including military law enforcement and installation security records, drug and alcohol records, and FAP records for a minimum of 2 years before the date of the application.

Investigative service provider (ISP). The company or agency authorized to perform background investigations on personnel on behalf of the agency.

Line of Sight Supervision (LOSS). Continuous visual observation and supervision of an individual whose background check has not yet cleared, and has a favorable interim suitability or fitness determination, while engaged in child interactive duties, or in the presence of children in a DoD-sanctioned program or activity. The person providing supervision must have undergone a background check and received a final favorable suitability or fitness determination and be current on all periodic reinvestigations as required by this part.

Met criteria. Reported incident of alleged maltreatment found to meet DoD incident determination criteria for child abuse or domestic abuse and entry into the Service FAP central registry of child abuse and domestic abuse reports.

Position. An employee, contractor, provider, or volunteer role or function.

Preliminary investigations. Those investigative elements of a criminal history background check, including those specified in § 86.6(f) , which must be favorably completed and reviewed before an individual may be permitted to perform duties under LOSS.

Providers. Individuals involved in child care services who have regular contact with children or may be alone with children in the performance of their duties. Includes FCC providers and individuals with overall management responsibility for child and youth programs.

Regular contact with children. Recurring and more than incidental contact with or access to children in the performance of their duties on a DoD installation, program, or as part of a DoD-sanctioned activity.

Reinvestigation. A criminal history background check conducted after the period of time prescribed by this part to ensure the individual remains eligible to provide child care services. Reinvestigation includes the same checks conducted for the initial investigation as outlined in § 86.6(b) .

Respite care providers. Individuals who provide short-term care and supportive services in a family home or group facility within government-owned or -leased quarters.

State criminal history repository (SCHR). A repository of criminal information that lists past state convictions, current offender information, and criminal identification information (fingerprints, photographs, and other information or descriptions) that identify a person as having been the subject of a criminal arrest or prosecution. Checks of the SCHR may include the State child abuse and neglect repository and the State sex offender registry.

Suitability determination. A decision that a person is or is not suitable for a covered position within the DoD.

Supervisor. The person supervising individuals who are permitted to perform duties only under LOSS, who is not necessarily the same as an employee's supervisor for employment purposes (e.g., ratings, assignment of duties).

Volunteer. There are two types of volunteers:

(1)Specified volunteers. Individuals who could have extensive or frequent contact with children over a period of time. They include, but are not limited to, positions involving extensive interaction alone, extended travel, or overnight activities with children or youth. Coaches and long-term instructors are among those who fall in this category. Specified volunteers are designated by the DoD Component head. Background checks are required in accordance with § 86.6(b)(4) .
(2)Non-specified volunteers. Individuals who provide services that are shorter in duration than is required to perform a criminal history background check (e.g., one-day class trip, class party). Because non-specified volunteers do not receive the same level of background checks as specified volunteers, non-specified volunteers must always be in line of sight of a staff member with a complete background check.

Youth program. Defined in DoD Instruction 6060.4, "Department of Defense (DoD) Youth Programs (YPs)" (available at http://www.dtic.mil/whs/directives/corres/pdf/606004p.pdf).

32 C.F.R. §86.3